November turned out to be a heavy dose of STRS virtual meetings. For the most part, committee and Board meetings are subject to the Sunshine Law which means they are open to the public. The STRS Investment Committee met November 18 and the STRS Board met on November 19.
There were 3 parts to the investment committee meeting: Long-Term Strategic Planning for Investments, presentation by outside consultant Callan; What Options Can State Pension Systems Consider to Increase Returns, presentation by outside consultant Cliffwater; and Update on Potential Strategies for Future Implementation, presentation by STRS staff. As usual, throughout the presentations, research studies and returns point out that STRS leads its peers and long-term horizons must be maintained while short term results show the STRS general fund is headed in the right direction. Appointed Board member Steen vocally pushed throughout the presentations that the outside consultants need to assist the STRS staff with ways to improve investment returns.
The Board meeting itself was brief. September and October minutes were approved. I mention this because September Board minutes were tabled last month because of appointed Board member Steen’s desire to make additions. For whatever reasons, he withdrew his additions, and the September minutes were approved as originally written. [This is a transparency issue for me, no discussion really. A question was asked on which September minutes were being approved and the original were approved by one and all]. The Board meeting then proceeded into the annual Retirement Board and Education & Planning Meeting. Topics: Preparing for the Quinquennial Review (Five-Year Actuarial Experience Review) and Actuarial Matters by STRS staff; STRS Ohio’s Variable Pay Program for Investment Staff – the Basis for Incentives by outside consultant Aon/McLagan; Plan Governance and Fiduciary Duty (including Board Policy Updates, staff; Ethics Refresher for Ohio Public Pension Officials, staff; Board Self-Assessment led by outside consultant Dr. Ed Gaydos; Long-Term Planning for a Sustainable Retirement System by outside consultant Callan. After these presentations, the Board approved Routine Matters. Under old/new business, active elected Robert McFee moved that STRS Executive Director Neville report at the December meeting regarding the feasibility and costs for recording Board meetings, All Board members voted ‘Yea.” Steen also made a motion that he later withdrew. Closing comments were then made and the meeting adjourned about 4:30 p.m.
[I am not going to break down all of the above with the notes that I took. This would become a 10 pager. Suffice to say that the Performance Based Incentives are being scrutinized but are needed to maintain very good investment staff. If all of STRS’s investments were done by outside consultants the cost would increase substantially. Some very good discussion ultimately happened during the Board’s self-assessment. Kudos to Steen, Stein, Mayerfeld, Price, Walters, Rhodes, McFee and newly appointed Claudia Herrington for voicing views/concerns although speak with “One Voice” is so very prevalent. More than once a long investment horizon was mentioned. STRS just celebrated 100 years and is now looking at the next 100 years. The long horizon refers out to 20, 30, 40 years of investment growth. STRS and its Board members need to better articulate the liability hole it is working and slowly improving at the expense of actives and retirees. Listening carefully, I am 74 nearing 75, a COLA is probably not in my future unless I live to be a centenarian. Actives, enhancing your benefits at retirement is probably not in your future, unless you are just in the beginning years of your 35 years odyssey to full retirement. With all this in mind, remember that the two retirement seats and an active seat is up for election in the spring. We need Board members that will vote to hold STRS’s feet to the fire. Even with my gloom comments which I do believe, I do not see that happening at meetings when a Board member requests a month delay or STRS’s staff 3 percent annual merit-based incentive is almost unanimously approved without each Board member’s comments.]
The next dates set aside for the Board meeting are December 18 ,19, & 20. The Board meeting will probably be December 19. You must register to attend at then under “News” in the first column click on Board meeting Information. Registration usually opens the Friday before the meeting, this time, December 11 and should appear on the homepage. Board materials should be available thirty minutes before a meeting by going to the STRS homepage, clicking on “About Us” in the top banner and then clicking on “Retirement Board” and then “Most Recent Board Meeting Materials” in the first column. [STRS does not make this easy and only this month promised to post materials 30 minutes before the its meetings. Transparency]
Misplaced records of crystals:
=====
1.
This record from Alexandria via LeMat-Bulk describes crystalline Tb8Sb2Ir at its relaxed geometry. The functional is PBE.

Output
D(E_F)   1.00 states/eV per atom
Total magnetization   0.000 μB per atom
Calculated total energy   -120.44 eV per cell
Formation energy without anion corrections   -0.5520 eV/atom

Lattice parameters (Å, degrees): 18.916 4.651 7.283 90.00 98.25 90.00
Space group C2/m (No. 12)
One atom of each set of equivalent atoms:
Tb 0.005 0.000 0.276
Tb 0.096 0.500 0.010
Tb 0.145 0.500 0.531
Tb 0.216 0.000 0.847
Sb 0.182 0.000 0.269
Ir 0.000 0.500 0.500

=====

2.
This record from Alexandria via LeMat-Bulk describes crystalline Tb5PmAl at its relaxed geometry. The functional is PBE.

Output
Formation energy   0.701 eV/atom
D(E_F)   1.44 states/eV per atom
Total magnetization   0.000 μB per atom
Calculated total energy   -53.47 eV per cell

Lattice parameters (Å, degrees): 7.672 11.545 6.136 90.00 90.00 90.00
Space group Imm2 (No. 44)
One atom of each set of equivalent atoms:
Tb 0.000 0.000 0.000
Tb 0.000 0.246 0.525
Tb 0.187 0.500 0.817
Pm 0.000 0.500 0.300
Al 0.000 0.000 0.547

=====

3.
This record from Alexandria via LeMat-Bulk describes crystalline Gd4CoHg2 at its relaxed geometry. The functional is PBE.

Output
Formation energy   -0.030 eV/atom
D(E_F)   1.83 states/eV per atom
Total magnetization   0.125 μB per atom
Calculated total energy   -128.49 eV per cell

Lattice parameters (Å, degrees): 4.856 4.856 17.615 90.00 90.00 90.00
Space group I4/mmm (No. 139)
One atom of each set of equivalent atoms:
Gd 0.000 0.000 0.179
Gd 0.000 0.500 0.000
Co 0.000 0.000 0.500
Hg 0.000 0.000 0.352

=====

4.
This record from Alexandria via LeMat-Bulk describes crystalline BeHg2IrPt at its relaxed geometry. The functional is PBE.

Output
Formation energy   0.848 eV/atom
D(E_F)   0.51 states/eV per atom
Total magnetization   0.000 μB per atom
Calculated total energy   -14.99 eV per cell

Lattice parameters (Å, degrees): 5.165 5.165 4.072 90.00 90.00 90.00
Space group P4/mmm (No. 123)
One atom of each set of equivalent atoms:
Be 0.000 0.000 0.000
Hg 0.000 0.500 0.500
Ir 0.000 0.000 0.500
Pt 0.500 0.500 0.000

=====

5.
This record from Alexandria via LeMat-Bulk describes crystalline LiY2Mn at its relaxed geometry. The functional is PBE.

Output
Formation energy   0.206 eV/atom
D(E_F)   1.00 states/eV per atom
Total magnetization   0.656 μB per atom
Calculated total energy   -46.38 eV per cell

Lattice parameters (Å, degrees): 3.515 5.066 10.634 90.00 90.00 90.00
Space group Imm2 (No. 44)
One atom of each set of equivalent atoms:
Li 0.000 0.000 0.000
Y 0.000 0.000 0.445
Y 0.000 0.500 0.233
Mn 0.000 0.500 0.697

=====

6.
This record from Alexandria via LeMat-Bulk describes crystalline Ac2PuTaN6 at its relaxed geometry. The functional is PBE.

Output
D(E_F)   0.22 states/eV per atom
Total magnetization   0.096 μB per atom
Calculated total energy   -190.67 eV per cell
Formation energy without anion corrections   -1.0982 eV/atom
=====
So much for the records of crystals:
In union, Dan MacDonald, Executive Director, Local 279-R, NEO AFT Retirees